Watch Industry Leaders Discuss Sustainable Hospitality and Tourism

This year, in celebration of Earth Day, our team at Vegan Hospitality hosted the second Global Vegan Hospitality & Tourism Online Conference.

What is Earth Day?

Earth Day marks the anniversary of the modern environmental movement in 1970. Earth Day in 1970 became and continues to be to this day the largest secular day of protest in the world. The 2000 Earth Day campaign was the first time Earth Day included a campaign focused on global warming, and continued with the 2010 campaign pushing for a sustainable green economy and reduction of carbon footprints.

2020 was the 50th anniversary with the theme Climate Action, with hosting a livestream event that 1B people attended making it the largest online mass mobilization in history.

We our proud to share that our conference was an official registered event, and now you can watch the recording if you weren’t able to join us live (we imagine you were out planting trees instead)!

Check out these exciting statistics from our event!

250+ registered attendees from 44+ countries

6 speakers from 4 countries

In case you missed it, you can watch the full 2 hour conference recording here.

And if you don’t have 2 hours right now, enjoy this summary of the conference sessions with links to follow up with all of our fabulous speakers!

Session 1: Magnetic Branding and Marketing Strategies to Draw Vegans and Sustainability Enthusiasts to Your Restaurant or Hotel with Diana Edelman

Is your brand attracting vegan and eco-conscious guests? In this session, you’ll learn the steps to take to optimize your company’s social media presence to help guests find your restaurant or hotel, best practices for working with influencers to market to this niche, and ways to improve your promotional materials to attract the vegan and sustainable tourism focused market.

Session 2: Live Interview with internationally acclaimed zero waste chef Vojtech Vegh

Vojtech explains key concepts in working toward a low waste kitchen, including the key difference between prevention and reduction when it comes to food waste, the “black truffle mindset” and how it can help you put less food in the bin, and how to get started in implementing waste management strategies in your hotel or restaurant kitchen.

Session 3: How to Gain Early Access to the Industry’s First Vegan Accessible Hotel & Lodging Certification with Hayley Cooper

If you are part of a hotel, lodge, or travel accommodation company, this session is a must-watch! Hayley Cooper, COO of Vegan Hospitality, introduces the latest innovation in third party verified certification in the industry — the certification program and professional development system for hotels and other stays that welcome vegan guests! Learn about whether your company qualifies, and what to do if you still need to work toward certification indicators. She also shares how you can apply for free to receive a feedback audit.

Session 4: Discover Top Strategic Planning Goals for Sustainability Oriented Hotels with Meredith Marin

Strategic planning is a tool that top companies use to future-proof their businesses, making sure that their goals are values driven, and that their action steps consider the long term industry trends and transition predictions. In this session, Meredith Marin, CEO of Vegan Hospitality, details the topics to consider when setting up a successful strategic plan and explains how your hotel, lodge, or hospitality group can receive support with this process.

Session 5: Understanding Your Menu’s Carbon Footprint with Amber van Veghel

Do you know which items on your menu are increasing your company’s carbon footprint, and which items will lower it? Are you aware of the impact that both minor and major shifts on your menu can have on your emissions reporting? In this session, Amber shares data on the influence of farming practices, food transport, and other factors in calculating the carbon footprint of your company’s menu. Watch this insightful training to learn actionable steps your restaurant or hotel can take to meet your sustainability goals.

Session 6: Success Strategies for Sustainable Conference & Event Planning with Angélica Williams

Did you know that in 90% of event planners have reported that sustainability is important to them as they plan their conferences and events in 2024? Angélica shares an abundance of action steps to consider when planning your next event, with specific ideas for hotels to incorporate in conference planning and catered affairs. From sustainable menu ideas to tips for food waste management in a buffet setting, this is a presentation you are sure to benefit from if your company hosts events.

Watch the full conference recording here!

Ready to learn more about Hotel, Lodge & Accommodation Certification? Click here to go directly to our brochure and certification application page.

<<<
(1)
## La2PmLu (GGA-PBE)

Data for crystalline La2PmLu at its relaxed geometry.

Summary:
Offset from the most stable computed form   0 meV/atom
Formation energy from the elements   15.5 meV per atom

Unit cell a=5.095 b=5.178 c=5.178 alpha=90.00 beta=90.00 gamma=90.00
Element x y z (fractional)
La 0.000 0.500 0.000
Lu 0.500 0.000 0.000
La 0.000 0.000 0.500
Pm 0.500 0.500 0.500

(2)
## LaPm4Lu (GGA-PBE)

Data for crystalline LaPm4Lu at its relaxed geometry.

Summary:
Formation energy from the elements   250.1 meV per atom

Unit cell a=6.693 b=6.693 c=6.693 alpha=60.00 beta=60.00 gamma=60.00
Element x y z (fractional)
Pm 0.626 0.122 0.626
Pm 0.626 0.626 0.122
Pm 0.122 0.626 0.626
La 0.250 0.250 0.250
Pm 0.626 0.626 0.626
Lu 0.000 0.000 0.000

(3)
## LaPmLuPu (GGA-PBE)

Data for crystalline LaPmLuPu at its relaxed geometry.

Summary:
Formation energy from the elements   199.6 meV per atom

Unit cell a=5.664 b=5.664 c=5.664 alpha=60.00 beta=60.00 gamma=60.00
Each line ends with the local moment (μB).
Element x y z (fractional)
Lu 0.750 0.750 0.750  -0.30
Pm 0.500 0.500 0.500  -0.26
La 0.000 0.000 0.000  -0.30
Pu 0.250 0.250 0.250  -5.65

(4)
## LaPmSmLu (GGA-PBE)

Data for crystalline LaPmSmLu at its relaxed geometry.

Summary:
Formation energy from the elements   118.1 meV per atom

Unit cell a=5.769 b=5.769 c=5.769 alpha=60.00 beta=60.00 gamma=60.00
Element x y z (fractional)
Sm 0.750 0.750 0.750
Pm 0.000 0.000 0.000
La 0.250 0.250 0.250
Lu 0.500 0.500 0.500

(5)
## LaTbPmLu (GGA-PBE)

Data for crystalline LaTbPmLu at its relaxed geometry.

Summary:
Formation energy from the elements   95.1 meV per atom

Unit cell a=5.748 b=5.748 c=5.748 alpha=60.00 beta=60.00 gamma=60.00
Element x y z (fractional)
La 0.250 0.250 0.250
Pm 0.750 0.750 0.750
Tb 0.000 0.000 0.000
Lu 0.500 0.500 0.500

(6)
## LaPmLuTl (GGA-PBE)

Data for crystalline LaPmLuTl at its relaxed geometry.

Summary:
Formation energy from the elements   -90.0 meV per atom

Unit cell a=5.588 b=5.588 c=5.588 alpha=60.00 beta=60.00 gamma=60.00
Each line ends with the local moment (μB).
Element x y z (fractional)
Tl 0.000 0.000 0.000  0.00
La 0.750 0.750 0.750  -0.12
Pm 0.250 0.250 0.250  -0.15
Lu 0.500 0.500 0.500  -0.21

(7)
## LaPmYLu (GGA-PBE)

Data for crystalline LaPmYLu at its relaxed geometry.

Summary:
>>>

Would you like to interview our team, or invite us to speak on your podcast or at your online conference? Connect with us here!